[Exercise]
Your job: copy the part of the contents further down that starts with the line with "0.0472 -0.0101" and stops after the one with "-0.19229 3.68896".

[Excerpt]
+++
45
Properties=species:S:1:pos:R:3:forces:R:3:mulliken_charge:R:1 method="wB97M-V/def2-TZVPD" gap_ev=8.9 smiles=c1ccc(SCCOCCN2CCc3ccccc3C2)cc1 largest_force_ev_per_a=0.6 total_charge=0 de_lowest_kj_mol=161.9 homo_ev=-8.0
C -6.0187 -1.1666 -0.3742 -0.1014 0.0099 -0.0595 -0.49
C -5.3841 -1.7408 0.7166 -0.0219 -0.0246 0.0312 -0.53
C -4.0412 -1.5130 0.9373 0.0761 0.0542 -0.0383 -0.69
C -3.3156 -0.7044 0.0657 0.3236 0.1285 -0.0185 0.95
C -3.9487 -0.1279 -1.0251 0.0389 0.0041 0.0223 -0.45
C -5.2962 -0.3643 -1.2387 -0.1210 0.0020 -0.0539 -0.64
H -5.7810 0.0880 -2.0916 -0.0558 0.0296 -0.0627 0.37
H -3.4080 0.5036 -1.7116 0.0713 0.0609 -0.0568 0.20
S -1.6026 -0.4900 0.4511 0.1798 -0.0588 -0.0905 -0.22
C -0.9398 0.5821 -0.8613 -0.4589 -0.2219 0.3031 -0.09
C -1.3681 2.0534 -0.7433 -0.1928 -0.0138 -0.1360 -0.58
O -0.2752 2.9341 -0.6403 0.2033 0.0750 -0.1340 -0.43
C 0.1788 3.2157 0.6610 0.1289 -0.0037 0.2342 -0.91
C 0.7884 2.0318 1.4284 -0.1468 0.1420 -0.2606 -1.02
N 1.6953 1.2338 0.6281 0.1637 -0.0055 0.1796 0.89
C 2.9140 1.9119 0.2324 0.0617 0.0097 -0.3091 -0.96
C 3.5546 1.1258 -0.9070 -0.0552 0.2069 0.1127 -1.06
C 3.7165 -0.3219 -0.5444 -0.0314 0.0022 0.0218 0.66
C 4.6022 -1.1338 -1.2422 -0.0153 -0.0520 0.0262 -0.67
C 4.7371 -2.4720 -0.9255 0.0714 -0.0089 -0.0806 -0.56
C 3.9793 -3.0154 0.0990 -0.0280 -0.0969 0.0676 -0.59
C 3.0962 -2.2150 0.7976 0.0260 0.0393 -0.0237 -0.82
C 2.9576 -0.8681 0.4850 0.0551 -0.0458 -0.0418 1.01
C 2.0136 -0.0176 1.2887 -0.0631 0.0017 0.1688 -1.26
H 1.0821 -0.5687 1.4554 0.0701 0.0205 0.0536 0.21
H 2.4719 0.1632 2.2832 -0.1108 -0.0018 -0.0544 0.44
H 2.5017 -2.6340 1.5971 -0.0737 -0.0637 0.0910 0.42
H 4.0766 -4.0611 0.3510 0.0041 -0.0835 0.0196 0.39
H 5.4305 -3.0911 -1.4754 0.0563 -0.0504 -0.0443 0.39
H 5.1907 -0.7055 -2.0415 0.0662 0.0473 -0.0836 0.43
H 4.5213 1.5614 -1.1686 -0.0004 -0.0108 -0.0278 0.50
H 2.9063 1.1980 -1.7855 0.0368 0.0881 -0.0002 0.28
H 2.6698 2.9152 -0.1165 0.0385 -0.0029 0.0509 0.37
H 3.6204 1.9984 1.0785 -0.0497 0.0472 -0.0101 0.37
H 1.2748 2.4374 2.3354 -0.0698 -0.0462 -0.0173 0.46
H -0.0186 1.3690 1.7535 0.0309 0.0522 0.0768 0.48
H 0.9172 4.0091 0.5232 -0.0723 -0.0279 0.1114 0.41
H -0.6456 3.6186 1.2716 0.1199 -0.0045 -0.0452 0.48
H -1.8934 2.3634 -1.6530 -0.0120 -0.0603 0.1221 0.30
H -2.0487 2.1880 0.1093 0.0322 -0.0099 -0.0802 0.44
H -1.2074 0.1418 -1.8202 0.0518 0.0471 -0.0719 0.65
H 0.1437 0.5270 -0.7323 -0.1096 -0.0224 -0.0566 -0.25
H -3.5364 -1.9569 1.7820 0.0132 -0.0834 0.1214 0.35
H -5.9382 -2.3697 1.3976 -0.0452 -0.0538 0.0572 0.37
H -7.0692 -1.3440 -0.5478 -0.0847 -0.0149 -0.0140 0.37

=====

112
Properties=species:S:1:pos:R:3:forces:R:3 method="wB97M-V/def2-TZVPD" de_lowest_kj_mol=0.00 total_charge=-1 homo_ev=-4.052 orbital_gap_ev=6.577 lumo_ev=2.53
Sn 0.28260 0.59815 -0.30767 0.03 0.04 0.00
C 1.79917 1.66456 3.26142 0.00 0.01 0.01
N 0.48481 1.36315 2.73951 0.02 0.00 -0.07
C -0.11417 0.21234 3.40003 0.00 -0.04 0.04
C -0.39090 2.45696 2.53542 0.01 0.03 0.03
C -0.19229 3.68896 3.15061 0.00 0.00 -0.01
C -0.99918 4.78023 2.84784 0.00 0.00 0.00
C -2.01125 4.64009 1.91335 0.00 0.02 0.01
C -2.21582 3.41885 1.28750 0.00 -0.04 -0.01
C -1.42978 2.30555 1.58698 -0.03 -0.02 0.04
N -1.50488 1.09555 0.88968 0.02 0.03 -0.06
C -2.71229 0.52209 0.56962 0.02 0.03 0.04
C -3.95699 0.93882 1.07550 0.02 0.00 0.02
C -5.13709 0.32084 0.69549 -0.01 -0.01 0.02
C -5.12980 -0.73896 -0.19652 -0.01 -0.02 0.00
C -3.90484 -1.21182 -0.65320 -0.02 -0.01 0.01
C -2.71644 -0.62110 -0.26481 0.01 0.00 -0.01
N -1.43576 -1.18292 -0.62201 -0.01 -0.02 0.00
C -1.01307 -2.18464 0.37187 0.02 0.02 0.01
C -1.37140 -1.76853 -1.96588 0.01 0.01 0.00
H 1.79375 1.91599 4.33501 0.00 0.00 -0.01
H 2.24138 2.49777 2.71336 0.00 -0.01 -0.01
H 2.44274 0.79563 3.12055 0.00 -0.03 0.00
H -0.17423 0.36468 4.48901 0.00 0.00 -0.01
H 0.48925 -0.67728 3.20634 0.01 0.00 0.01
H -1.11492 0.04260 3.01115 0.00 0.00 0.01
H 0.60810 3.80002 3.87042 0.00 0.01 0.00
H -0.82410 5.73245 3.33243 0.00 0.00 0.01
H -2.62427 5.49009 1.64054 -0.01 0.00 -0.01
+++

[Result]
H 3.6204 1.9984 1.0785 -0.0497 0.0472 -0.0101 0.37
H 1.2748 2.4374 2.3354 -0.0698 -0.0462 -0.0173 0.46
H -0.0186 1.3690 1.7535 0.0309 0.0522 0.0768 0.48
H 0.9172 4.0091 0.5232 -0.0723 -0.0279 0.1114 0.41
H -0.6456 3.6186 1.2716 0.1199 -0.0045 -0.0452 0.48
H -1.8934 2.3634 -1.6530 -0.0120 -0.0603 0.1221 0.30
H -2.0487 2.1880 0.1093 0.0322 -0.0099 -0.0802 0.44
H -1.2074 0.1418 -1.8202 0.0518 0.0471 -0.0719 0.65
H 0.1437 0.5270 -0.7323 -0.1096 -0.0224 -0.0566 -0.25
H -3.5364 -1.9569 1.7820 0.0132 -0.0834 0.1214 0.35
H -5.9382 -2.3697 1.3976 -0.0452 -0.0538 0.0572 0.37
H -7.0692 -1.3440 -0.5478 -0.0847 -0.0149 -0.0140 0.37

=====

112
Properties=species:S:1:pos:R:3:forces:R:3 method="wB97M-V/def2-TZVPD" de_lowest_kj_mol=0.00 total_charge=-1 homo_ev=-4.052 orbital_gap_ev=6.577 lumo_ev=2.53
Sn 0.28260 0.59815 -0.30767 0.03 0.04 0.00
C 1.79917 1.66456 3.26142 0.00 0.01 0.01
N 0.48481 1.36315 2.73951 0.02 0.00 -0.07
C -0.11417 0.21234 3.40003 0.00 -0.04 0.04
C -0.39090 2.45696 2.53542 0.01 0.03 0.03
C -0.19229 3.68896 3.15061 0.00 0.00 -0.01